[Assignment]
Type out everything underneath with every line break kept.
[Source]
A geometry-optimized Nd2DyPt structure, computed with GGA-PBE.

**Formation enthalpy at 0 K**: -249 kJ/mol of formula units
**Density**: 9064 kg/m³

a b c (Å): 7.1673 10.0353 6.5822
angles (deg): 90.00 90.00 90.00
With the nearest neighbours (Å) after each atom.
Space group Pnma (No. 62)
Asymmetric unit:
Nd 0.1817 0.0615 0.1758 [8 per cell]  2 Pt 2.97-2.99
Dy 0.0315 0.2500 0.6450 [4 per cell]  2 Pt 2.83-2.86
Pt 0.1161 0.7500 0.9512 [4 per cell]  2 Dy 2.83-2.86, 4 Nd 2.97-2.99


<one>
Density functional theory data (PBE-GGA) for a geometry-optimized LaAsP2O structure.

Its crystal system is tetragonal. The value obtained for the density of states at the Fermi level is 4.18 states/eV/cell.

The structure belongs to space group P4/mmm (No. 123); the cell edges are 4.804, 4.804 and 4.095 Å and the angles 90.00°, 90.00° and 90.00°. Symmetry generates all atoms from La at (0.000, 0.000, 0.000), As at (0.500, 0.500, 0.500), P at (0.000, 0.500, 0.500) and O at (0.500, 0.500, 0.000).

<two>
Density functional theory data (PBE-GGA) for a geometry-optimized LaAsP2O structure.

Its crystal system is tetragonal. The value obtained for the density of states at the Fermi level is 3.41 states/eV/cell.

The structure belongs to space group P4/mmm (No. 123); the cell edges are 5.698, 5.698 and 4.206 Å and the angles 90.00°, 90.00° and 90.00°. Symmetry generates all atoms from La at (0.000, 0.000, 0.000), As at (0.500, 0.500, 0.500), P at (0.000, 0.500, 0.000) and O at (0.000, 0.000, 0.500).

Each structure's energy above the most stable one, in meV/atom: <one> 0; <two> 786.


A PBEsol-optimized structure of CaZrAs2, computed with meta-GGA SCAN.

Properties
Fermi-level density of states: 1.8 states/eV per cell
SG: C2/m (12)
total DFT energy (no corrections): -21.05 eV per atom
energy of formation from the pure elements: -0.868 eV/atom
offset from the most stable computed form: 0.471 eV per atom

Cell and atoms, written as extended XYZ:
```
4
Lattice="-0.3292 -1.4686 -2.7479 5.0810 1.0566 -0.1777 0.8327 -4.0940 3.0839" Properties=species:S:1:pos:R:3 pbc="T T T"
As 0.4164 -2.0470 1.5420
As 2.5405 0.5283 -0.0888
Ca -0.1646 -0.7343 -1.3740
Zr 2.7923 -2.2529 0.0792
```
[Done]
A geometry-optimized Nd2DyPt structure, computed with GGA-PBE.

**Formation enthalpy at 0 K**: -249 kJ/mol of formula units
**Density**: 9064 kg/m³

a b c (Å): 7.1673 10.0353 6.5822
angles (deg): 90.00 90.00 90.00
With the nearest neighbours (Å) after each atom.
Space group Pnma (No. 62)
Asymmetric unit:
Nd 0.1817 0.0615 0.1758 [8 per cell]  2 Pt 2.97-2.99
Dy 0.0315 0.2500 0.6450 [4 per cell]  2 Pt 2.83-2.86
Pt 0.1161 0.7500 0.9512 [4 per cell]  2 Dy 2.83-2.86, 4 Nd 2.97-2.99


<one>
Density functional theory data (PBE-GGA) for a geometry-optimized LaAsP2O structure.

Its crystal system is tetragonal. The value obtained for the density of states at the Fermi level is 4.18 states/eV/cell.

The structure belongs to space group P4/mmm (No. 123); the cell edges are 4.804, 4.804 and 4.095 Å and the angles 90.00°, 90.00° and 90.00°. Symmetry generates all atoms from La at (0.000, 0.000, 0.000), As at (0.500, 0.500, 0.500), P at (0.000, 0.500, 0.500) and O at (0.500, 0.500, 0.000).

<two>
Density functional theory data (PBE-GGA) for a geometry-optimized LaAsP2O structure.

Its crystal system is tetragonal. The value obtained for the density of states at the Fermi level is 3.41 states/eV/cell.

The structure belongs to space group P4/mmm (No. 123); the cell edges are 5.698, 5.698 and 4.206 Å and the angles 90.00°, 90.00° and 90.00°. Symmetry generates all atoms from La at (0.000, 0.000, 0.000), As at (0.500, 0.500, 0.500), P at (0.000, 0.500, 0.000) and O at (0.000, 0.000, 0.500).

Each structure's energy above the most stable one, in meV/atom: <one> 0; <two> 786.


A PBEsol-optimized structure of CaZrAs2, computed with meta-GGA SCAN.

Properties
Fermi-level density of states: 1.8 states/eV per cell
SG: C2/m (12)
total DFT energy (no corrections): -21.05 eV per atom
energy of formation from the pure elements: -0.868 eV/atom
offset from the most stable computed form: 0.471 eV per atom

Cell and atoms, written as extended XYZ:
```
4
Lattice="-0.3292 -1.4686 -2.7479 5.0810 1.0566 -0.1777 0.8327 -4.0940 3.0839" Properties=species:S:1:pos:R:3 pbc="T T T"
As 0.4164 -2.0470 1.5420
As 2.5405 0.5283 -0.0888
Ca -0.1646 -0.7343 -1.3740
Zr 2.7923 -2.2529 0.0792
```